Departmental Educational Classes & Seminars

We offer a range of educational classes that are designed to meet your fire department’s needs. We will work out a specific plan of instruction that is appropriate to your department with the topics that are relevant and important to educate your firefighters and officers to excel in their administration positions and on the fire ground. 

The list below are some examples of educational classes we have provided in the past. Contact us today to discuss what your department needs are and how we can provide an instructional educational class or classes to achieve them. These classes range depending on your needs from a 2-hour seminar & PowerPoint to a 1-day class or 3-day course. 

Your Firefighters and Officers will receive a certification certificate of completion with the hours and topics that were covered for their recognition and your documentation.

Your members will be given reference guides for tactics and strategies for fireground and evolving incidents. They will also receive reference guides with step by step procedures for subordinate issues and administration programs.  

CEU credits will be given when possible. 

Street Smart Incident Command & Leadership – How to reduce the span of control and manage any incident – What real leadership is and taking extreme ownership – how to delegate authority, communicate, and hold your subordinates accountable while earning their respect.

Mayday procedures from a firefighter’s perspective to the Incident Commander’s

Evolving Incidents – How to handle ANY evolving incident or change in tactics

Building Construction – All 5 Classes including Hybrid and Buildings Under construction. All firefighters and officers must know building construction, the positive and negatives of all 5 types, how fire travels, collapse potentials, and all factors and concerns with each class of construction. We teach tactics, strategies, and managing the incident, from the firefighter’s, to the incident commander’s perspective. Our instructors have been in the construction trades and chief officers for many years, we are experienced as well as educated. There is no one better to teach your department about building construction.

We teach fire tactics, strategies, and managing the incidents for:

High Rise (Residential & Commercial) (Heavy & Lightweight)

== Calculated crystals, as found in the file ==
Simulated powder X-ray diffraction pattern of Dy2B2C3 for Cu Kα (λ = 1.5418 Å), from DFT lattice parameters and positions (GGA-PBE).

The 10 most intense peaks (15° ≤ 2θ ≤ 90°), by angle:
| two_theta | Rel. int. |
| --- | --- |
| 23.4 | 100 |
| 25.2 | 65 |
| 30.9 | 42 |
| 34.5 | 51 |
| 34.8 | 40 |
| 35.2 | 39 |
| 35.8 | 55 |
| 39.8 | 57 |
| 52.3 | 22 |
| 55.0 | 20 |

Crystal structure
```
Dy2B2C3
1.0
5.162 -1.508 0.000
5.162 1.508 0.000
-0.366 0.000 5.205
Dy B C
2 2 3
direct
0.142 0.142 0.256
0.858 0.858 0.744
0.394 0.394 0.192
0.606 0.606 0.808
0.165 0.165 0.735
0.500 0.500 0.000
0.835 0.835 0.265
```

Warehouse (All Classes of Construction) 

Ordinary (1 & 2 family homes & Multiple Dwellings) 

Wood-frame (1 & 2 family homes & Multiple Dwellings)

Taxpayer (All Classes of Construction) (Strip Malls and Mixed Occupancies) 

Truss Constructed Buildings (Wood & Steel Truss & Heavy Timber Truss)  

Hybrid Construction (A Mix of Lightweight Truss) 

Car Accidents (MVAs) (Extrication/Fires)  

Train Incidents (Commuter or Freight) 

Hazardous Material Incidents (Confined Space & Trench rescue, Terrorism – Tactics, Strategy, and Managing the Incident & Unified Command)

Gas, Carbon Monoxide, Propane, Oil Burners (How to Handle Any Problem or Scenario)

Subordinate Conflict (We Teach New Officers How to Handle ALL Different Type of Problems with Subordinates) 

Administration (How to Develop Programs) (How to Budget and get the Finances needed for Your Plan) 

Email me at or contact me directly at 732-779-9214

for pricing or more information on what we can do for your department!